**To do**
Now say how many lines of the rows underneath hold the word "No", as a bare number.

**Input**
┌──
{"formula": "AgHAu2I", "functional": "PBE-GGA", "state": "relaxed", "cell": [[3.9752, 0.0000, 0.0000], [0.0000, 6.9022, 0.0000], [0.0000, 0.0000, 3.9752]], "species": ["Ag", "Au", "Au", "H", "I"], "frac_coords": [[0.5000, 0.5000, 0.5000], [0.5000, 0.0000, 0.0000], [0.0000, 0.0000, 0.5000], [0.0000, 0.0000, 0.0000], [0.0000, 0.5000, 0.0000]], "energy_ev_per_fu": -13.3, "magnetic_moment_mub_per_atom": 0.000, "dos_at_fermi_per_ev_fu": 1.399, "vol_a3_per_atom": 21.81}

{"formula": "Mg2RhBr", "functional": "PBE-GGA", "state": "relaxed", "cell": [[3.2618, 0.0144, 0.0000], [-0.0181, 3.2618, 0.0000], [0.0000, 0.0000, 7.2222]], "species": ["Br", "Mg", "Mg", "Rh"], "frac_coords": [[0.5000, 0.5000, 0.7500], [0.0000, 0.0000, 0.0465], [0.0000, 0.0000, 0.4535], [0.5000, 0.5000, 0.2500]], "energy_ev_per_fu": -14.6, "e_form_raw_ev_per_atom": -0.586, "magnetic_moment_mub_per_atom": 0.000, "dos_at_fermi_per_ev_fu": 0.504, "vol_a3_per_atom": 19.21}

{"formula": "Th3CoCu3", "functional": "PBE-GGA", "state": "relaxed", "cell": [[4.1850, 0.0000, -0.9130], [-0.1830, 3.6117, -0.8390], [-0.0588, 0.3607, 9.7788]], "species": ["Th", "Th", "Th", "Cu", "Cu", "Cu", "Co"], "frac_coords": [[0.3221, 0.8221, 0.6442], [0.9937, 0.9937, 0.9873], [0.6893, 0.1893, 0.3787], [0.1370, 0.6370, 0.2739], [0.8621, 0.3621, 0.7242], [0.5637, 0.5637, 0.1275], [0.4321, 0.4321, 0.8642]], "energy_ev_per_fu": -42.9, "magnetic_moment_mub_per_atom": 0.000, "dos_at_fermi_per_ev_fu": 6.408, "vol_a3_per_atom": 21.28, "formation_enthalpy_0k_ev_per_fu": -1.2}

{"formula": "Pm4Ni2Ag", "functional": "PBE-GGA", "state": "relaxed", "cell": [[-1.4765, -6.8026, 1.0829], [1.1706, 0.5671, -6.8712], [7.2969, 1.7471, 4.0044]], "species": ["Pm", "Pm", "Pm", "Pm", "Pm", "Pm", "Pm", "Pm", "Ni", "Ni", "Ni", "Ni", "Ag", "Ag"], "frac_coords": [[0.7581, 0.1758, 0.7843], [0.9013, 0.6405, 0.1845], [0.9670, 0.2068, 0.3169], [0.3819, 0.4731, 0.1896], [0.4415, 0.0331, 0.3091], [0.8401, 0.5992, 0.6084], [0.2233, 0.1392, 0.7153], [0.4831, 0.7402, 0.8916], [0.5838, 0.2138, 0.0619], [0.1119, 0.5712, 0.9357], [0.4257, 0.3839, 0.5646], [0.7706, 0.9013, 0.4379], [0.0465, 0.9530, 0.9845], [0.3151, 0.7188, 0.5157]], "energy_ev_per_fu": -35.0, "magnetic_moment_mub_per_atom": 0.000, "dos_at_fermi_per_ev_fu": 6.874, "vol_a3_per_atom": 24.97, "formation_enthalpy_0k_ev_per_fu": -1.5}

=====

[1]
Entry from the Open Quantum Materials Database: a relaxed LiScNbCo crystal (PBE-GGA).

a b c (Å): 6.2460 6.2460 6.2460
angles (deg): 90.00 90.00 90.00
With the nearest neighbours (Å) after each atom.
Space group F-43m (No. 216)
Symmetry-distinct sites (fractional):
Li1 0.0000 0.0000 0.0000  4 Sc 2.70, 4 Nb 2.70
Sc1 0.2500 0.2500 0.7500  4 Li 2.70, 4 Co 2.70
Nb1 0.2500 0.2500 0.2500  4 Li 2.70, 4 Co 2.70
Co1 0.0000 0.0000 0.5000  4 Nb 2.70, 4 Sc 2.70

Raw total energy, eV/atom: -6.312

[2]
Entry from the Open Quantum Materials Database: a relaxed LiScNbCo crystal (PBE-GGA).

a b c (Å): 6.2009 6.2009 6.2009
angles (deg): 90.00 90.00 90.00
With the nearest neighbours (Å) after each atom.
Space group F-43m (No. 216)
Symmetry-distinct sites (fractional):
Li1 0.0000 0.0000 0.0000  4 Sc 2.69, 4 Co 2.69
Sc1 0.2500 0.2500 0.7500  4 Nb 2.69, 4 Li 2.69
Nb1 0.0000 0.0000 0.5000  4 Co 2.69, 4 Sc 2.69
Co1 0.2500 0.2500 0.2500  4 Nb 2.69, 4 Li 2.69

Raw total energy, eV/atom: -6.175
└──

**Response**
2